Learning and staying in shape key to longer lifespan, study finds

People who are overweight cut their life expectancy by two months for every extra kilogram of weight they carry, research suggests. A major study has also found that education leads to a longer life, with almost a year added for each year spent studying beyond school.

Being active saves lives

Whether a gym workout, walking to work or washing the floor - physical activity of any kind can prevent heart disease and death, says a large international study involving more than 130,000 people from 17 countries.

How to keep your brain young

=====
ScBe4Ni after structural relaxation. Source: Alexandria, functional PBE.

Values from the calculation:
- density (g/cm³) = 3.68
- energy relative to the lowest polymorph listed for this composition (meV/atom) = 0
- uncorrected energy (eV per cell) = -28.32
- calculated volume (Å³/cell) = 63.1
- magnetic moment (μB per cell) = 0.3
- N(E_F) (states/eV/atom) = 0.6786
- symmetry = F-43m, No. 216
- ΔE_f (eV per atom) = -0.217

Cell: 4.468 4.468 4.468 Å, 60.00 60.00 60.00°
Sites, in units of the cell vectors:
Ni (0.250, 0.250, 0.250)
Sc (0.000, 0.000, 0.000)
Be (0.623, 0.130, 0.623)
Be (0.623, 0.623, 0.130)
Be (0.130, 0.623, 0.623)
Be (0.623, 0.623, 0.623)

***

ScBeNi3 after structural relaxation. Source: Alexandria, functional PBE.

Values from the calculation:
- density (g/cm³) = 6.06
- energy relative to the lowest polymorph listed for this composition (meV/atom) = 3
- uncorrected energy (eV per cell) = -28.52
- calculated volume (Å³/cell) = 63.1
- magnetic moment (μB per cell) = 0.0
- N(E_F) (states/eV/atom) = 1.0125
- symmetry = Pm-3m, No. 221
- ΔE_f (eV per atom) = -0.224

Cell: 3.980 3.980 3.980 Å, 90.00 90.00 90.00°
Sites, in units of the cell vectors:
Ni (0.000, 0.500, 0.000)
Ni (0.500, 0.000, 0.000)
Be (0.000, 0.000, 0.000)
Ni (0.000, 0.000, 0.500)
Sc (0.500, 0.500, 0.500)

***

Sc3BeNi after structural relaxation. Source: Alexandria, functional PBE.

Values from the calculation:
- density (g/cm³) = 3.04
- energy relative to the lowest polymorph listed for this composition (meV/atom) = 0
- uncorrected energy (eV per cell) = -27.00
- calculated volume (Å³/cell) = 110.8
- magnetic moment (μB per cell) = 0.0
- N(E_F) (states/eV/atom) = 2.3710
- symmetry = Pm-3m, No. 221
- ΔE_f (eV per atom) = 0.300

Cell: 4.803 4.803 4.803 Å, 90.00 90.00 90.00°
Sites, in units of the cell vectors:
Sc (0.000, 0.000, 0.500)
Be (0.500, 0.500, 0.500)
Sc (0.500, 0.000, 0.000)
Sc (0.000, 0.500, 0.000)
Ni (0.000, 0.000, 0.000)

***

ScBeNi2 after structural relaxation. Source: Alexandria, functional PBE.

Values from the calculation:
- density (g/cm³) = 5.31
- uncorrected energy (eV per cell) = -23.07
- calculated volume (Å³/cell) = 53.6
- magnetic moment (μB per cell) = 0.0
- N(E_F) (states/eV/atom) = 0.6574
- symmetry = C2/m, No. 12
- ΔE_f (eV per atom) = -0.363

Cell: 3.837 3.837 4.753 Å, 66.20 66.20 59.89°
Sites, in units of the cell vectors:
Be (0.250, 0.250, 0.250)
Ni (0.543, 0.543, 0.371)
Ni (0.957, 0.957, 0.129)
Sc (0.750, 0.750, 0.750)

***

ScBe2Ni2 after structural relaxation. Source: Alexandria, functional PBE.

Values from the calculation:
- density (g/cm³) = 5.21
- energy relative to the lowest polymorph listed for this composition (meV/atom) = 117
- uncorrected energy (eV per cell) = -53.20
- calculated volume (Å³/cell) = 115.1
- magnetic moment (μB per cell) = 0.3
- N(E_F) (states/eV/atom) = 0.7930
- symmetry = P4/mbm, No. 127
- ΔE_f (eV per atom) = -0.251

Cell: 6.700 6.700 2.563 Å, 90.00 90.00 90.00°
Sites, in units of the cell vectors:
=====
### Back to the text

A look at the research around preserving our brain health and keeping mentally active.

Caloric restriction for anti-aging

The idea that reducing the amount of food you eat can slow metabolism and extend lifespan has been around for a while. Only recently has it become more mainstream.

Moderate consumption of fats, carbohydrates best for health, international study shows

A diet that includes a moderate intake of fat and fruits and vegetables, and avoidance of high carbohydrates, is associated with lower risk of death, research with more than 135,000 people across five continents has shown.

No detectable limit to how long people can live: study

By analyzing the lifespan of the longest-living individuals since 1968, a new study comes to conclusion that there is no evidence for an age limit.

Japan leads world in life expectancy, WHO report says

People in Japan continue to outlive those in other countries, marking the world’s longest average life expectancy of 83.7 years, according to the latest WHO report.

Aging clock and epigenetics

Recent research has shown that DNA methylation, an epigenetic modification is so accurate that chronological age in humans can be predicted +/- 3.6 years from any tissue or fluid in the body. This is referred to as the epigenetic clock.

Indigenous South American group has healthiest arteries of all populations yet studied

An 80 year old from the Tsimane group had the same vascular age as a person in mid-fifties, suggests a new report. The Tsimane people - a forager-horticulturalist population of the Bolivian Amazon - have the lowest reported levels of vascular aging for any population.

Average life expectancy set to increase by 2030

Average life expectancy is set to increase in many countries by 2030 - and will exceed 90 years in South Korea, according to new research.

What doesn't kill you makes you stronger

Research identifies cellular recycling process linked to beneficial effects of enduring mild stress

Eating less can slow the aging process

Recent research published in Molecular & Cellular Proteomics offers one glimpse into how cutting calories impacts aging inside a cell.

Keys to long life: longevity study unearths surprising answers

One of the findings that really astounds is that the Longevity Project participants who were the most cheerful and had the best sense of humor as kids lived shorter lives, on average, than those who were less cheerful and joking. It was the most prudent and persistent individuals who stayed healthiest and lived the longest.